Brief:
Next, return all of the listing below with every line break kept.

Input:
/*
Model a:
Below is a relaxed PrGdNi4 crystal, with properties calculated at the PBE level.

Cell lengths 7.2684, 7.2684, 7.2684 Å; angles 90.00, 90.00, 90.00 degrees
With the nearest neighbours (Å) after each atom.
Space group F-43m (No. 216)
One atom of each set of equivalent atoms:
Pr 0.0000 0.0000 0.0000 (multiplicity 4)  12 Ni 3.01, 4 Gd 3.15
Gd 0.2500 0.2500 0.2500 (multiplicity 4)  12 Ni 3.01, 4 Pr 3.15
Ni 0.1244 0.1244 0.6244 (multiplicity 16)  6 Ni 2.56-2.58

Calculated values
Magnetization   0.00 μB/atom

***

Model b:
Below is a relaxed PrGdNi4 crystal, with properties calculated at the PBE level.

Cell lengths 5.4820, 5.4820, 7.9764 Å; angles 90.00, 90.00, 120.00 degrees
With the nearest neighbours (Å) after each atom.
Space group P6/mmm (No. 191)
One atom of each set of equivalent atoms:
Pr 0.0000 0.0000 0.0000 (multiplicity 1)  6 Gd 3.17, 12 Ni 3.52
Pr 0.0000 0.0000 0.5000 (multiplicity 1)  18 Ni 3.17-3.27
Gd 0.3333 0.6667 0.0000 (multiplicity 2)  6 Ni 2.71
Ni 0.0000 0.5000 0.2762 (multiplicity 6)  2 Ni 2.39
Ni 0.3333 0.6667 0.5000 (multiplicity 2)  6 Ni 2.39

Calculated values
Magnetization   0.00 μB/atom

***

Relative energies in meV/atom: model a 0; model b 354

***

Model a:
Below is a relaxed RbGdNiS3 crystal, with properties calculated at the PBE level.

Cell lengths 10.9940, 4.1487, 12.0675 Å; angles 90.00, 90.00, 90.00 degrees
With the nearest neighbours (Å) after each atom.
Space group Pnma (No. 62)
One atom of each set of equivalent atoms:
Rb 0.1627 0.2500 0.0079 (multiplicity 4)  8 S 3.28-3.58, 3 Ni 3.48-3.55
Gd 0.0106 0.2500 0.6601 (multiplicity 4)  7 S 2.77-3.02
Ni 0.2419 0.2500 0.2928 (multiplicity 4)  4 S 2.22-2.32
S 0.0555 0.7500 0.8062 (multiplicity 4)  1 Ni 2.23
S 0.1152 0.2500 0.4464 (multiplicity 4)  1 Ni 2.32
S 0.2250 0.7500 0.2294 (multiplicity 4)  2 Ni 2.22

Calculated values
Magnetization   0.04 μB/atom

***

Model b:
Below is a relaxed RbGdNiS3 crystal, with properties calculated at the PBE level.

Cell lengths 3.9614, 14.7177, 10.4691 Å; angles 90.00, 90.00, 90.00 degrees
With the nearest neighbours (Å) after each atom.
Space group Cmcm (No. 63)
One atom of each set of equivalent atoms:
Rb 0.0000 0.2424 0.2500 (multiplicity 4)  6 S 3.40-3.43
Gd 0.0000 0.5000 0.0000 (multiplicity 4)  6 S 2.73-2.75
Ni 0.0000 0.0318 0.7500 (multiplicity 4)  4 S 2.26-2.33
S 0.0000 0.1192 0.5723 (multiplicity 8)  1 Ni 2.26
S 0.0000 0.4481 0.7500 (multiplicity 4)  2 Ni 2.33

Calculated values
Magnetization   0.33 μB/atom

***

Relative energies in meV/atom: model a 30; model b 0

***

Model a:
Below is a relaxed RbGdNiTe3 crystal, with properties calculated at the PBE level.

Cell lengths 11.5070, 4.2944, 16.2875 Å; angles 90.00, 90.00, 90.00 degrees
With the nearest neighbours (Å) after each atom.
Space group Pnma (No. 62)
One atom of each set of equivalent atoms:
Rb 0.2449 0.2500 0.0086 (multiplicity 4)  7 Te 3.67-4.05
Gd 0.0049 0.7500 0.2510 (multiplicity 4)  6 Te 3.03-3.09
Ni 0.2468 0.7500 0.7814 (multiplicity 4)  4 Te 2.58-2.60
Te 0.0668 0.7500 0.8757 (multiplicity 4)  1 Ni 2.58
Te 0.0748 0.2500 0.3775 (multiplicity 4)  1 Ni 2.58
Te 0.2457 0.2500 0.6912 (multiplicity 4)  2 Ni 2.60

Calculated values
Magnetization   0.23 μB/atom

***

Model b:
Below is a relaxed RbGdNiTe3 crystal, with properties calculated at the PBE level.

Cell lengths 12.0621, 4.5617, 13.6473 Å; angles 90.00, 90.00, 90.00 degrees
With the nearest neighbours (Å) after each atom.
Space group Pnma (No. 62)
One atom of each set of equivalent atoms:
Rb 0.1627 0.2500 0.0002 (multiplicity 4)  7 Te 3.57-3.76, 2 Ni 3.86
Gd 0.0027 0.2500 0.3363 (multiplicity 4)  7 Te 3.11-3.38
Ni 0.2294 0.2500 0.7079 (multiplicity 4)  4 Te 2.53-2.58
Te 0.0580 0.7500 0.1889 (multiplicity 4)  1 Ni 2.58
Te 0.1168 0.2500 0.5489 (multiplicity 4)  1 Ni 2.56
Te 0.2223 0.7500 0.7875 (multiplicity 4)  2 Ni 2.53

Calculated values
Magnetization   0.00 μB/atom

***

Model c:
Below is a relaxed RbGdNiTe3 crystal, with properties calculated at the PBE level.
*/

Solution:
Model a:
Below is a relaxed PrGdNi4 crystal, with properties calculated at the PBE level.

Cell lengths 7.2684, 7.2684, 7.2684 Å; angles 90.00, 90.00, 90.00 degrees
With the nearest neighbours (Å) after each atom.
Space group F-43m (No. 216)
One atom of each set of equivalent atoms:
Pr 0.0000 0.0000 0.0000 (multiplicity 4)  12 Ni 3.01, 4 Gd 3.15
Gd 0.2500 0.2500 0.2500 (multiplicity 4)  12 Ni 3.01, 4 Pr 3.15
Ni 0.1244 0.1244 0.6244 (multiplicity 16)  6 Ni 2.56-2.58

Calculated values
Magnetization   0.00 μB/atom

***

Model b:
Below is a relaxed PrGdNi4 crystal, with properties calculated at the PBE level.

Cell lengths 5.4820, 5.4820, 7.9764 Å; angles 90.00, 90.00, 120.00 degrees
With the nearest neighbours (Å) after each atom.
Space group P6/mmm (No. 191)
One atom of each set of equivalent atoms:
Pr 0.0000 0.0000 0.0000 (multiplicity 1)  6 Gd 3.17, 12 Ni 3.52
Pr 0.0000 0.0000 0.5000 (multiplicity 1)  18 Ni 3.17-3.27
Gd 0.3333 0.6667 0.0000 (multiplicity 2)  6 Ni 2.71
Ni 0.0000 0.5000 0.2762 (multiplicity 6)  2 Ni 2.39
Ni 0.3333 0.6667 0.5000 (multiplicity 2)  6 Ni 2.39

Calculated values
Magnetization   0.00 μB/atom

***

Relative energies in meV/atom: model a 0; model b 354

***

Model a:
Below is a relaxed RbGdNiS3 crystal, with properties calculated at the PBE level.

Cell lengths 10.9940, 4.1487, 12.0675 Å; angles 90.00, 90.00, 90.00 degrees
With the nearest neighbours (Å) after each atom.
Space group Pnma (No. 62)
One atom of each set of equivalent atoms:
Rb 0.1627 0.2500 0.0079 (multiplicity 4)  8 S 3.28-3.58, 3 Ni 3.48-3.55
Gd 0.0106 0.2500 0.6601 (multiplicity 4)  7 S 2.77-3.02
Ni 0.2419 0.2500 0.2928 (multiplicity 4)  4 S 2.22-2.32
S 0.0555 0.7500 0.8062 (multiplicity 4)  1 Ni 2.23
S 0.1152 0.2500 0.4464 (multiplicity 4)  1 Ni 2.32
S 0.2250 0.7500 0.2294 (multiplicity 4)  2 Ni 2.22

Calculated values
Magnetization   0.04 μB/atom

***

Model b:
Below is a relaxed RbGdNiS3 crystal, with properties calculated at the PBE level.

Cell lengths 3.9614, 14.7177, 10.4691 Å; angles 90.00, 90.00, 90.00 degrees
With the nearest neighbours (Å) after each atom.
Space group Cmcm (No. 63)
One atom of each set of equivalent atoms:
Rb 0.0000 0.2424 0.2500 (multiplicity 4)  6 S 3.40-3.43
Gd 0.0000 0.5000 0.0000 (multiplicity 4)  6 S 2.73-2.75
Ni 0.0000 0.0318 0.7500 (multiplicity 4)  4 S 2.26-2.33
S 0.0000 0.1192 0.5723 (multiplicity 8)  1 Ni 2.26
S 0.0000 0.4481 0.7500 (multiplicity 4)  2 Ni 2.33

Calculated values
Magnetization   0.33 μB/atom

***

Relative energies in meV/atom: model a 30; model b 0

***

Model a:
Below is a relaxed RbGdNiTe3 crystal, with properties calculated at the PBE level.

Cell lengths 11.5070, 4.2944, 16.2875 Å; angles 90.00, 90.00, 90.00 degrees
With the nearest neighbours (Å) after each atom.
Space group Pnma (No. 62)
One atom of each set of equivalent atoms:
Rb 0.2449 0.2500 0.0086 (multiplicity 4)  7 Te 3.67-4.05
Gd 0.0049 0.7500 0.2510 (multiplicity 4)  6 Te 3.03-3.09
Ni 0.2468 0.7500 0.7814 (multiplicity 4)  4 Te 2.58-2.60
Te 0.0668 0.7500 0.8757 (multiplicity 4)  1 Ni 2.58
Te 0.0748 0.2500 0.3775 (multiplicity 4)  1 Ni 2.58
Te 0.2457 0.2500 0.6912 (multiplicity 4)  2 Ni 2.60

Calculated values
Magnetization   0.23 μB/atom

***

Model b:
Below is a relaxed RbGdNiTe3 crystal, with properties calculated at the PBE level.

Cell lengths 12.0621, 4.5617, 13.6473 Å; angles 90.00, 90.00, 90.00 degrees
With the nearest neighbours (Å) after each atom.
Space group Pnma (No. 62)
One atom of each set of equivalent atoms:
Rb 0.1627 0.2500 0.0002 (multiplicity 4)  7 Te 3.57-3.76, 2 Ni 3.86
Gd 0.0027 0.2500 0.3363 (multiplicity 4)  7 Te 3.11-3.38
Ni 0.2294 0.2500 0.7079 (multiplicity 4)  4 Te 2.53-2.58
Te 0.0580 0.7500 0.1889 (multiplicity 4)  1 Ni 2.58
Te 0.1168 0.2500 0.5489 (multiplicity 4)  1 Ni 2.56
Te 0.2223 0.7500 0.7875 (multiplicity 4)  2 Ni 2.53

Calculated values
Magnetization   0.00 μB/atom

***

Model c:
Below is a relaxed RbGdNiTe3 crystal, with properties calculated at the PBE level.